local tonumber, tostring, math = tonumber, tostring, math
-local require = require
+local pcall, require, setmetatable = pcall, require, setmetatable
local nxo = require "nixio"
local nfs = require "nixio.fs"
local ipc = require "luci.ip"
-local sys = require "luci.sys"
local utl = require "luci.util"
-local dsp = require "luci.dispatcher"
local uci = require "luci.model.uci"
local lng = require "luci.i18n"
local jsc = require "luci.jsonc"
+local function _wifi_state()
+ if not next(_ubuswificache) then
+ _ubuswificache = utl.ubus("network.wireless", "status", {}) or {}
+ end
+ return _ubuswificache
function _wifi_iface(x)
local _, p
for _, p in ipairs(IFACE_PATTERNS_WIRELESS) do
return false
-function _wifi_state(key, val, field)
- local radio, radiostate, ifc, ifcstate
- if not next(_ubuswificache) then
- _ubuswificache = utl.ubus("network.wireless", "status", {}) or {}
+local function _wifi_iwinfo_by_ifname(ifname, force_phy_only)
+ local stat, iwinfo = pcall(require, "iwinfo")
+ local iwtype = stat and type(ifname) == "string" and iwinfo.type(ifname)
+ local is_nonphy_op = {
+ bitrate = true,
+ quality = true,
+ quality_max = true,
+ mode = true,
+ ssid = true,
+ bssid = true,
+ assoclist = true,
+ encryption = true
+ }
- -- workaround extended section format
- for radio, radiostate in pairs(_ubuswificache) do
- for ifc, ifcstate in pairs(radiostate.interfaces) do
- if ifcstate.section and ifcstate.section:sub(1, 1) == '@' then
- local s = _uci:get_all('wireless.%s' % ifcstate.section)
- if s then
- ifcstate.section = s['.name']
- end
+ if iwtype then
+ -- if we got a type but no real netdev, we're referring to a phy
+ local phy_only = force_phy_only or (ipc.link(ifname).type ~= 1)
+ return setmetatable({}, {
+ __index = function(t, k)
+ if k == "ifname" then
+ return ifname
+ elseif phy_only and is_nonphy_op[k] then
+ return nil
+ elseif iwinfo[iwtype][k] then
+ return iwinfo[iwtype][k](ifname)
- end
+ })
- for radio, radiostate in pairs(_ubuswificache) do
- for ifc, ifcstate in pairs(radiostate.interfaces) do
- if ifcstate[key] == val then
- return ifcstate[field]
- end
+local function _wifi_sid_by_netid(netid)
+ if type(netid) == "string" then
+ local radioname, netidx = netid:match("^(%w+)%.network(%d+)$")
+ if radioname and netidx then
+ local i, n = 0, nil
+ netidx = tonumber(netidx)
+ _uci:foreach("wireless", "wifi-iface",
+ function(s)
+ if s.device == radioname then
+ i = i + 1
+ if i == netidx then
+ n = s[".name"]
+ return false
+ end
+ end
+ end)
+ return n
-function _wifi_lookup(ifn)
- -- got a radio#.network# pseudo iface, locate the corresponding section
- local radio, ifnidx = ifn:match("^(%w+)%.network(%d+)$")
- if radio and ifnidx then
- local sid = nil
- local num = 0
+function _wifi_sid_by_ifname(ifn)
+ local sid = _wifi_sid_by_netid(ifn)
+ if sid then
+ return sid
+ end
- ifnidx = tonumber(ifnidx)
- _uci:foreach("wireless", "wifi-iface",
- function(s)
- if s.device == radio then
- num = num + 1
Records of crystals from another source follow:
/*
## ReH3O5 (PBE)

Data for a relaxed ReH3O5 crystal.

Computed properties:
Space-group type = P1
Raw total energy = -117.43 eV per cell
E (MP2020) = -124.30 eV/cell
Total moment = 0.00 μB per atom
E_form = -1.6431 eV/atom

Cell: 6.046 6.104 7.430 Å, 113.16 111.69 89.40°
Sites, in units of the cell vectors:
H 0.699 0.221 0.569
H 0.329 0.699 0.055
H 0.732 0.402 0.855
H 0.470 0.374 0.660
H 0.481 0.520 0.224
H 0.351 0.718 0.345
O 0.083 0.150 0.899
O 0.844 0.686 0.592
O 0.911 0.851 0.089
O 0.323 0.734 0.917
O 0.164 0.315 0.413
O 0.356 0.623 0.206
O 0.693 0.271 0.102
O 0.635 0.338 0.702
O 0.256 0.892 0.584
O 0.749 0.092 0.420
Re 0.881 0.134 0.255
Re 0.125 0.866 0.749

---

## SmGe2Pd2 (PBE)

Data for a relaxed SmGe2Pd2 crystal.

Computed properties:
Space-group type = I4/mmm
Raw total energy = -28.47 eV per cell
E_form = -0.8288 eV/atom

Cell: 4.324 4.324 5.943 Å, 111.33 111.33 90.00°
Sites, in units of the cell vectors:
Pd 0.750 0.250 0.500
Pd 0.250 0.750 0.500
Ge 0.621 0.621 0.243
Ge 0.379 0.379 0.757
Sm 0.000 0.000 0.000

---

## CePmTl2 (PBE)

Data for a relaxed CePmTl2 crystal.

Computed properties:
Space-group type = Fm-3m
Raw total energy = -16.64 eV per cell
E_form = -0.3089 eV/atom

Cell: 5.509 5.509 5.509 Å, 60.00 60.00 60.00°
Sites, in units of the cell vectors:
Tl 0.750 0.750 0.750
Tl 0.250 0.250 0.250
Pm 0.000 0.000 0.000
Ce 0.500 0.500 0.500

----------

1.
## K2H6Pt (r²SCAN)

Data for crystalline K2H6Pt at its relaxed geometry.

Cell: 5.7417 5.7417 5.7417 Å, 60.00 60.00 60.00°
Sites, in units of the cell vectors:
K 0.2500 0.2500 0.2500
K 0.7500 0.7500 0.7500
H 0.2021 0.2021 0.7979
H 0.2021 0.7979 0.2021
H 0.2021 0.7979 0.7979
H 0.7979 0.2021 0.2021
H 0.7979 0.2021 0.7979
H 0.7979 0.7979 0.2021
Pt 0.0000 0.0000 0.0000

Properties
**DFT total energy**: -9.843 eV/atom
**Energy of formation from the pure elements**: -0.482 eV/atom
**Calculated density**: 3.47 g/cm3

=====

2.
## LiZn2Pt (r²SCAN)

Data for crystalline LiZn2Pt at its relaxed geometry.

Cell: 4.2700 4.2700 4.2700 Å, 60.00 60.00 60.00°
Sites, in units of the cell vectors:
Li 0.0000 0.0000 0.0000
Zn 0.2500 0.2500 0.2500
Zn 0.7500 0.7500 0.7500
Pt 0.5000 0.5000 0.5000

Properties
**DFT total energy**: -18.526 eV/atom
**Energy of formation from the pure elements**: -0.602 eV/atom
**Calculated density**: 10.04 g/cm3

=====

3.
## NaIO4 (r²SCAN)

Data for crystalline NaIO4 at its relaxed geometry.

Cell: 6.9690 6.9690 6.9690 Å, 135.34 135.34 65.00°
Sites, in units of the cell vectors:
Na 0.3750 0.1250 0.2500
Na 0.6250 0.8750 0.7500
I 0.1250 0.3750 0.7500
I 0.8750 0.6250 0.2500
O 0.0539 0.2203 0.3599
O 0.1939 0.5539 0.3336
O 0.2797 0.1397 0.8336
O 0.3603 0.6939 0.1401
O 0.6397 0.3061 0.8599
O 0.7203 0.8603 0.1664
O 0.8061 0.4461 0.6664
O 0.9461 0.7797 0.6401

Properties
**DFT total energy**: -9.406 eV/atom
**Energy of formation from the pure elements**: -0.737 eV/atom
**Calculated density**: 4.31 g/cm3

=====

4.
## Pr2Ni12As7 (r²SCAN)
*/
- if num == ifnidx then
- sid = s['.name']
- return false
+ local _, _, netstate = _wifi_state_by_ifname(ifn)
+ if netstate and type(netstate.section) == "string" then
+ return netstate.section
+ end
+local function _wifi_netid_by_sid(sid)
+ local t, n = _uci:get("wireless", sid)
+ if t == "wifi-iface" and n ~= nil then
+ local radioname = _uci:get("wireless", n, "device")
+ if type(radioname) == "string" then
+ local i, netid = 0, nil
+ _uci:foreach("wireless", "wifi-iface",
+ function(s)
+ if s.device == radioname then
+ i = i + 1
+ if s[".name"] == n then
+ netid = "%s.network%d" %{ radioname, i }
+ return false
+ end
+ end)
+ return netid, radioname
+ end
[Attached: materials data]
+++
Entry 1:
The following is a DFT calculation (PBE+U) of a geometry-optimized MgTiMn5P6O24 structure.

Structure (CIF):
```
data_MgTiMn5P6O24
_chemical_formula_sum 'Mg1 Ti1 Mn5 P6 O24'
_symmetry_space_group_name_H-M 'P 1'
_symmetry_Int_Tables_number 1
_cell_length_a 8.581
_cell_length_b 8.751
_cell_length_c 8.752
_cell_angle_alpha 61.06
_cell_angle_beta 60.71
_cell_angle_gamma 60.84
loop_
_symmetry_equiv_pos_as_xyz
'x,y,z'
loop_
_atom_site_label
_atom_site_fract_x
_atom_site_fract_y
_atom_site_fract_z
_atom_site_occupancy
Mg1 0.000 0.000 0.000 1
Ti1 0.687 0.494 0.715 1
Mn1 0.198 0.982 0.226 1
Mn2 0.256 0.620 0.855 1
Mn3 0.321 0.287 0.491 1
Mn4 0.744 0.123 0.392 1
Mn5 0.795 0.769 0.028 1
P1 0.004 0.392 0.889 1
P2 0.012 0.100 0.606 1
P3 0.482 0.884 0.823 1
P4 0.492 0.580 0.421 1
P5 0.527 0.178 0.107 1
P6 0.991 0.681 0.317 1
O1 0.024 0.538 0.925 1
O2 0.040 0.922 0.779 1
O3 0.177 0.537 0.337 1
O4 0.179 0.328 0.734 1
O5 0.194 0.149 0.510 1
O6 0.281 0.939 0.962 1
O7 0.309 0.729 0.399 1
O8 0.366 0.125 0.146 1
O9 0.489 0.716 0.793 1
O10 0.493 0.548 0.615 1
O11 0.512 0.371 0.950 1
O12 0.512 0.386 0.434 1
O13 0.519 0.035 0.634 1
O14 0.529 0.198 0.274 1
O15 0.638 0.834 0.896 1
O16 0.673 0.616 0.268 1
O17 0.724 0.032 0.047 1
O18 0.817 0.632 0.474 1
O19 0.825 0.487 0.831 1
O20 0.844 0.259 0.680 1
O21 0.963 0.882 0.290 1
O22 0.968 0.074 0.471 1
O23 0.968 0.223 0.065 1
O24 0.999 0.707 0.118 1
```

Entry 2:
The following is a DFT calculation (PBE+U) of a geometry-optimized MgTiMn5P6O24 structure.

Structure (CIF):
```
data_MgTiMn5P6O24
_chemical_formula_sum 'Mg1 Ti1 Mn5 P6 O24'
_symmetry_space_group_name_H-M 'P 1'
_symmetry_Int_Tables_number 1
_cell_length_a 8.648
_cell_length_b 8.688
_cell_length_c 8.765
_cell_angle_alpha 60.46
_cell_angle_beta 62.12
_cell_angle_gamma 89.48
loop_
_symmetry_equiv_pos_as_xyz
'x,y,z'
loop_
_atom_site_label
_atom_site_fract_x
_atom_site_fract_y
_atom_site_fract_z
_atom_site_occupancy
Mg1 0.000 0.000 0.000 1
Ti1 0.632 0.884 0.232 1
Mn1 0.185 0.412 0.191 1
Mn2 0.212 0.716 0.545 1
Mn3 0.353 0.125 0.748 1
Mn4 0.752 0.262 0.485 1
Mn5 0.797 0.605 0.798 1
P1 0.003 0.706 0.293 1
P2 0.487 0.506 0.284 1
P3 0.501 0.797 0.696 1
P4 0.502 0.230 0.985 1
P5 0.965 0.991 0.721 1
P6 0.985 0.296 0.009 1
O1 0.017 0.681 0.471 1
O2 0.139 0.044 0.716 1
O3 0.153 0.248 0.890 1
O4 0.163 0.867 0.084 1
O5 0.299 0.432 0.329 1
O6 0.321 0.262 0.103 1
O7 0.323 0.660 0.895 1
O8 0.462 0.666 0.332 1
O9 0.476 0.822 0.513 1
O10 0.492 0.031 0.154 1
O11 0.529 0.220 0.804 1
O12 0.530 0.359 0.440 1
O13 0.540 0.993 0.650 1
O14 0.642 0.592 0.065 1
O15 0.672 0.365 0.906 1
O16 0.672 0.733 0.667 1
O17 0.806 0.934 0.947 1
O18 0.819 0.127 0.120 1
O19 0.826 0.762 0.293 1
O20 0.940 0.148 0.558 1
O21 0.979 0.825 0.695 1
O22 0.980 0.311 0.179 1
O23 0.988 0.486 0.844 1
O24 0.988 0.519 0.307 1
```

Entry 3:
The following is a DFT calculation (PBE+U) of a geometry-optimized MgMnPbO3 structure.

Structure (CIF):
```
data_MgMnPbO3
_chemical_formula_sum 'Mg2 Mn2 Pb2 O6'
+++
+ end
+local function _wifi_netid_by_netname(name)
+ local netid = nil
+ _uci:foreach("wireless", "wifi-iface",
+ function(s)
+ local net
+ for net in utl.imatch(s.network) do
+ if net == name then
+ netid = _wifi_netid_by_sid(s[".name"])
+ return false
- end)
+ end
+ end)
- return sid
+ return netid
- -- looks like wifi, try to locate the section via ubus state
- elseif _wifi_iface(ifn) then
- return _wifi_state("ifname", ifn, "section")
+local function _wifi_state_by_sid(sid)
+ local t1, n1 = _uci:get("wireless", sid)
+ if t1 == "wifi-iface" and n1 ~= nil then
+ local radioname, radiostate
+ for radioname, radiostate in pairs(_wifi_state()) do
+ if type(radiostate) == "table" and
+ type(radiostate.interfaces) == "table"
+ then
+ local netidx, netstate
+ for netidx, netstate in ipairs(radiostate.interfaces) do
+ if type(netstate) == "table" and
+ type(netstate.section) == "string"
+ then
+ local t2, n2 = _uci:get("wireless", netstate.section)
+ if t1 == t2 and n1 == n2 then
+ return radioname, radiostate, netstate
+ end
+ end
+ end
+ end
+ end
+ end
+local function _wifi_state_by_ifname(ifname)
+ if type(ifname) == "string" then
+ local radioname, radiostate
+ for radioname, radiostate in pairs(_wifi_state()) do
+ if type(radiostate) == "table" and
+ type(radiostate.interfaces) == "table"
+ then
+ local netidx, netstate
+ for netidx, netstate in ipairs(radiostate.interfaces) do
+ if type(netstate) == "table" and
+ type(netstate.ifname) == "string" and
+ netstate.ifname == ifname
+ then
+ return radioname, radiostate, netstate
+ end
+ end
+ end
+ end
if _interfaces[i] or _wifi_iface(i) then
return interface(i)
- local ifc
- local num = { }
- _uci:foreach("wireless", "wifi-iface",
- function(s)
- if s.device then
- num[s.device] = num[s.device] and num[s.device] + 1 or 1
- if s['.name'] == i then
- ifc = interface(
- "%s.network%d" %{s.device, num[s.device] })
- return false
- end
- end
- end)
- return ifc
+ local netid = _wifi_netid_by_netname(i)
+ return netid and interface(netid)
function get_wifinet(self, net)
- local wnet = _wifi_lookup(net)
+ local wnet = _wifi_sid_by_ifname(net)
if wnet then
return wifinet(wnet)
function del_wifinet(self, net)
- local wnet = _wifi_lookup(net)
+ local wnet = _wifi_sid_by_ifname(net)
if wnet then
_uci:delete("wireless", wnet)
return true
ifname = self:_ubus("device")
if not ifname then
- local num = { }
- _uci:foreach("wireless", "wifi-iface",
- function(s)
- if s.device then
- num[s.device] = num[s.device]
- and num[s.device] + 1 or 1
- local net
- for net in utl.imatch(s.network) do
- if net == self.sid then
- ifname = "%s.network%d" %{ s.device, num[s.device] }
- return false
- end
- end
- end
- end)
+ ifname = _wifi_netid_by_netname(self.sid)
return ifname
if self:is_floating() then
return false
- local rv = true
+ local empty = true
if (self:_get("ifname") or ""):match("%S+") then
- rv = false
+ empty = false
- _uci:foreach("wireless", "wifi-iface",
- function(s)
- local n
- for n in utl.imatch(s.network) do
- if n == self.sid then
- rv = false
- return false
- end
- end
- end)
+ if empty and _wifi_netid_by_netname(self.sid) then
+ empty = false
+ end
- return rv
+ return empty
ifname = _M:ifnameof(ifname)
if ifname and not self:is_floating() then
-- if its a wifi interface, change its network option
- local wif = _wifi_lookup(ifname)
+ local wif = _wifi_sid_by_ifname(ifname)
if wif then
_append("wireless", wif, "network", self.sid)
ifname = _M:ifnameof(ifname)
if ifname and not self:is_floating() then
-- if its a wireless interface, clear its network option
- local wif = _wifi_lookup(ifname)
+ local wif = _wifi_sid_by_ifname(ifname)
if wif then _filter("wireless", wif, "network", self.sid) end
-- remove the interface
ifn = ifn:match("^[^:/]+")
return ifn and interface(ifn, self)
- ifn = nil
- _uci:foreach("wireless", "wifi-iface",
- function(s)
- if s.device then
- num[s.device] = num[s.device] and num[s.device] + 1 or 1
- local net
- for net in utl.imatch(s.network) do
- if net == self.sid then
- ifn = "%s.network%d" %{ s.device, num[s.device] }
- return false
- end
- end
- end
- end)
+ ifn = _wifi_netid_by_netname(self.sid)
return ifn and interface(ifn, self)
ifaces[#ifaces+1] = nfs[ifn]
- local num = { }
local wfs = { }
_uci:foreach("wireless", "wifi-iface",
if s.device then
- num[s.device] = num[s.device] and num[s.device] + 1 or 1
local net
for net in utl.imatch(s.network) do
if net == self.sid then
- ifn = "%s.network%d" %{ s.device, num[s.device] }
- wfs[ifn] = interface(ifn, self)
+ ifn = _wifi_netid_by_sid(s[".name"])
+ if ifn then
+ wfs[ifn] = interface(ifn, self)
+ end
- local wif = _wifi_lookup(ifname)
+ local wif = _wifi_sid_by_ifname(ifname)
if wif then
local n
for n in utl.imatch(_uci:get("wireless", wif, "network")) do
function protocol.adminlink(self)
- return dsp.build_url("admin", "network", "network", self.sid)
+ local stat, dsp = pcall(require, "luci.dispatcher")
+ return stat and dsp.build_url("admin", "network", "network", self.sid)
interface = utl.class()
function interface.__init__(self, ifname, network)
- local wif = _wifi_lookup(ifname)
+ local wif = _wifi_sid_by_ifname(ifname)
if wif then
self.wif = wifinet(wif)
- self.ifname = _wifi_state("section", wif, "ifname")
+ self.ifname = self.wif:ifname()
self.ifname = self.ifname or ifname
wifidev = utl.class()
-function wifidev.__init__(self, dev)
- self.sid = dev
- self.iwinfo = dev and sys.wifi.getiwinfo(dev) or { }
+function wifidev.__init__(self, name)
+ local t, n = _uci:get("wireless", name)
+ if t == "wifi-device" and n ~= nil then
+ self.sid = n
+ self.iwinfo = _wifi_iwinfo_by_ifname(self.sid, true)
+ end
+ self.sid = self.sid or name
+ self.iwinfo = self.iwinfo or { ifname = self.sid }
function wifidev.get(self, opt)
if _uci:get("wireless", net) == "wifi-iface" then
return wifinet(net)
- local wnet = _wifi_lookup(net)
+ local wnet = _wifi_sid_by_ifname(net)
if wnet then
return wifinet(wnet)
if utl.instanceof(net, wifinet) then
net = net.sid
elseif _uci:get("wireless", net) ~= "wifi-iface" then
- net = _wifi_lookup(net)
+ net = _wifi_sid_by_ifname(net)
if net and _uci:get("wireless", net, "device") == self.sid then
wifinet = utl.class()
-function wifinet.__init__(self, net, data)
- self.sid = net
- local n = 0
- local num = { }
- local netid, sid
- _uci:foreach("wireless", "wifi-iface",
- function(s)
- n = n + 1
- if s.device then
- num[s.device] = num[s.device] and num[s.device] + 1 or 1
- if s['.name'] == self.sid then
- sid = "@wifi-iface[%d]" % n
- netid = "%s.network%d" %{ s.device, num[s.device] }
- return false
- end
- end
- end)
+function wifinet.__init__(self, name, data)
+ local sid, netid, radioname, radiostate, netstate
+ -- lookup state by radio#.network# notation
+ sid = _wifi_sid_by_netid(name)
if sid then
- local _, k, r, i
- for k, r in pairs(_ubuswificache) do
- if type(r) == "table" and
- type(r.interfaces) == "table"
- then
- for _, i in ipairs(r.interfaces) do
- if type(i) == "table" and i.section == sid then
- self._ubusdata = {
- radio = k,
- dev = r,
- net = i
- }
- end
+ netid = name
+ radioname, radiostate, netstate = _wifi_state_by_sid(sid)
+ else
+ -- lookup state by ifname (e.g. wlan0)
+ radioname, radiostate, netstate = _wifi_state_by_ifname(name)
+ if radioname and radiostate and netstate then
+ sid = netstate.section
+ netid = _wifi_netid_by_sid(sid)
+ else
+ -- lookup state by uci section id (e.g. cfg053579)
+ radioname, radiostate, netstate = _wifi_state_by_sid(name)
+ if radioname and radiostate and netstate then
+ sid = name
+ netid = _wifi_netid_by_sid(sid)
+ else
+ -- no state available, try to resolve from uci
+ netid, radioname = _wifi_netid_by_sid(name)
+ if netid and radioname then
+ sid = name
- local dev = _wifi_state("section", self.sid, "ifname") or netid
+ local iwinfo =
+ (netstate and _wifi_iwinfo_by_ifname(netstate.ifname)) or
+ (radioname and _wifi_iwinfo_by_ifname(radioname)) or
+ { ifname = (netid or sid or name) }
- self.netid = netid
- self.wdev = dev
- self.iwinfo = dev and sys.wifi.getiwinfo(dev) or { }
+ self.sid = sid or name
+ self.wdev = iwinfo.ifname
+ self.iwinfo = iwinfo
+ self.netid = netid
+ self._ubusdata = {
+ radio = radioname,
+ dev = radiostate,
+ net = netstate
+ }
function wifinet.ubus(self, ...)
function wifinet.adminlink(self)
- return dsp.build_url("admin", "network", "wireless", self.netid)
+ local stat, dsp = pcall(require, "luci.dispatcher")
+ return dsp and dsp.build_url("admin", "network", "wireless", self.netid)
function wifinet.get_network(self)